-- Contents --
'''
Entry from OQMD: a geometry-optimized La2GdO4 structure (PBE-GGA).

Unit cell a=7.0883 b=7.0883 c=7.0883 alpha=60.00 beta=60.00 gamma=60.00
With the nearest neighbours (Å) after each atom.
Fractional positions:
La (0.0000, 0.0000, 0.0000)  6 O 2.50
La (0.0000, 0.0000, 0.5000)  6 O 2.50
La (0.0000, 0.5000, 0.0000)  6 O 2.50
La (0.5000, 0.0000, 0.0000)  6 O 2.50
Gd (0.3750, 0.3750, 0.3750)  4 O 2.19
Gd (0.6250, 0.6250, 0.6250)  4 O 2.19
O (0.2471, 0.7510, 0.7510)  1 Gd 2.19
O (0.2490, 0.2490, 0.2490)  1 Gd 2.19
O (0.2490, 0.2490, 0.7529)  1 Gd 2.19
O (0.2490, 0.7529, 0.2490)  1 Gd 2.19
O (0.7510, 0.2471, 0.7510)  1 Gd 2.19
O (0.7510, 0.7510, 0.2471)  1 Gd 2.19
O (0.7510, 0.7510, 0.7510)  1 Gd 2.19
O (0.7529, 0.2490, 0.2490)  1 Gd 2.19

Output
SG: Fd-3m
Total DFT energy (no corrections), eV per atom: -8.04

***

Entry from OQMD: a geometry-optimized HfZnCuB structure (PBE-GGA).

Unit cell a=4.2278 b=4.2278 c=4.2278 alpha=60.00 beta=60.00 gamma=60.00
With the nearest neighbours (Å) after each atom.
Fractional positions:
Hf (0.0000, 0.0000, 0.0000)  4 Zn 2.59, 4 B 2.59
Zn (0.7500, 0.7500, 0.7500)  4 Hf 2.59, 4 Cu 2.59
Cu (0.5000, 0.5000, 0.5000)  4 B 2.59, 4 Zn 2.59
B (0.2500, 0.2500, 0.2500)  4 Hf 2.59, 4 Cu 2.59

Output
Relative energy among the computed polymorphs, eV per formula unit: 0.000
SG: F-43m

***

Entry from OQMD: a geometry-optimized DyY2NiPd2Pb3 structure (PBE-GGA).

Unit cell a=3.8151 b=7.7866 c=7.7866 alpha=119.89 beta=90.00 gamma=90.00
With the nearest neighbours (Å) after each atom.
Fractional positions:
Dy (0.0000, 0.0000, 0.0000)  4 Pd 3.04, 1 Ni 3.11, 6 Pb 3.29-3.34
Y (0.0000, 0.3996, 0.7988)  4 Pd 3.06, 1 Ni 3.11, 6 Pb 3.28-3.33
Y (0.0000, 0.7988, 0.3996)  4 Pd 3.06, 1 Ni 3.11, 6 Pb 3.28-3.33
Ni (0.0000, 0.3991, 0.3991)  6 Pb 2.77
Pd (0.5000, 0.0662, 0.7346)  3 Pb 2.93-2.95, 2 Dy 3.04, 4 Y 3.06
Pd (0.5000, 0.7346, 0.0662)  3 Pb 2.93-2.95, 2 Dy 3.04, 4 Y 3.06
Pb (0.5000, 0.1422, 0.3999)  2 Ni 2.77, 2 Pd 2.93-2.95
Pb (0.5000, 0.3999, 0.1422)  2 Ni 2.77, 2 Pd 2.93-2.95
Pb (0.5000, 0.6570, 0.6570)  2 Ni 2.77, 2 Pd 2.93

Output
SG: Amm2
Total DFT energy (no corrections), eV per atom: -5.61

***

Number 1: total magnetization 0.05 μB/f.u.. Number 2: total magnetization 0.00 μB/f.u.. Number 3: total magnetization 0.00 μB/f.u..

~~~~~

[1]
## EuDy3 (PBE-GGA)

Data for a relaxed EuDy3 crystal.

Cell lengths 5.7351, 5.7351, 5.7351 Å; angles 60.00, 60.00, 60.00 degrees
With the nearest neighbours (Å) after each atom.
Fractional coordinates of all 4 atoms:
Eu 0.0000 0.0000 0.0000  8 Dy 3.51
Dy 0.2500 0.2500 0.2500  4 Dy 3.51, 4 Eu 3.51
Dy 0.5000 0.5000 0.5000  8 Dy 3.51
Dy 0.7500 0.7500 0.7500  4 Eu 3.51, 4 Dy 3.51

Output
For the formation energy, the calculation gives 0.7 eV per formula unit. The volume is 33.346 A^3/atom. The density of states at the Fermi level comes out at 1.908 states/eV/atom. The symmetry is Fm-3m, No. 225. The value obtained for the energy relative to the lowest polymorph listed for this composition is 0.389 eV/f.u.

---

[2]
## Eu2Dy (PBE-GGA)

Data for a relaxed Eu2Dy crystal.

Cell lengths 8.5053, 8.5053, 8.5053 Å; angles 154.71, 154.71, 36.07 degrees
With the nearest neighbours (Å) after each atom.
Fractional coordinates of all 3 atoms:
Eu 0.1614 0.1614 0.0000  4 Dy 3.71, 8 Eu 3.72-3.89
Eu 0.8386 0.8386 0.0000  4 Dy 3.71, 8 Eu 3.72-3.89
Dy 0.5000 0.5000 0.0000  8 Eu 3.71, 4 Dy 3.72

Output
For the formation energy, the calculation gives 0.3 eV per formula unit. The volume is 37.388 A^3/atom. The density of states at the Fermi level comes out at 1.285 states/eV/atom. The symmetry is I4/mmm, No. 139. The value obtained for the energy relative to the lowest polymorph listed for this composition is 0.000 eV/f.u.

---

[3]
## EuDy3 (PBE-GGA)

Data for a relaxed EuDy3 crystal.

Cell lengths 6.8379, 6.8379, 6.8379 Å; angles 149.14, 64.54, 124.85 degrees
With the nearest neighbours (Å) after each atom.
Fractional coordinates of all 4 atoms:
Eu 0.0000 0.0000 0.0000  10 Dy 3.53-3.67, 2 Eu 3.64
'''

-- Exercise --
Please print everything earlier on unchanged.

-- Result --
Entry from OQMD: a geometry-optimized La2GdO4 structure (PBE-GGA).

Unit cell a=7.0883 b=7.0883 c=7.0883 alpha=60.00 beta=60.00 gamma=60.00
With the nearest neighbours (Å) after each atom.
Fractional positions:
La (0.0000, 0.0000, 0.0000)  6 O 2.50
La (0.0000, 0.0000, 0.5000)  6 O 2.50
La (0.0000, 0.5000, 0.0000)  6 O 2.50
La (0.5000, 0.0000, 0.0000)  6 O 2.50
Gd (0.3750, 0.3750, 0.3750)  4 O 2.19
Gd (0.6250, 0.6250, 0.6250)  4 O 2.19
O (0.2471, 0.7510, 0.7510)  1 Gd 2.19
O (0.2490, 0.2490, 0.2490)  1 Gd 2.19
O (0.2490, 0.2490, 0.7529)  1 Gd 2.19
O (0.2490, 0.7529, 0.2490)  1 Gd 2.19
O (0.7510, 0.2471, 0.7510)  1 Gd 2.19
O (0.7510, 0.7510, 0.2471)  1 Gd 2.19
O (0.7510, 0.7510, 0.7510)  1 Gd 2.19
O (0.7529, 0.2490, 0.2490)  1 Gd 2.19

Output
SG: Fd-3m
Total DFT energy (no corrections), eV per atom: -8.04

***

Entry from OQMD: a geometry-optimized HfZnCuB structure (PBE-GGA).

Unit cell a=4.2278 b=4.2278 c=4.2278 alpha=60.00 beta=60.00 gamma=60.00
With the nearest neighbours (Å) after each atom.
Fractional positions:
Hf (0.0000, 0.0000, 0.0000)  4 Zn 2.59, 4 B 2.59
Zn (0.7500, 0.7500, 0.7500)  4 Hf 2.59, 4 Cu 2.59
Cu (0.5000, 0.5000, 0.5000)  4 B 2.59, 4 Zn 2.59
B (0.2500, 0.2500, 0.2500)  4 Hf 2.59, 4 Cu 2.59

Output
Relative energy among the computed polymorphs, eV per formula unit: 0.000
SG: F-43m

***

Entry from OQMD: a geometry-optimized DyY2NiPd2Pb3 structure (PBE-GGA).

Unit cell a=3.8151 b=7.7866 c=7.7866 alpha=119.89 beta=90.00 gamma=90.00
With the nearest neighbours (Å) after each atom.
Fractional positions:
Dy (0.0000, 0.0000, 0.0000)  4 Pd 3.04, 1 Ni 3.11, 6 Pb 3.29-3.34
Y (0.0000, 0.3996, 0.7988)  4 Pd 3.06, 1 Ni 3.11, 6 Pb 3.28-3.33
Y (0.0000, 0.7988, 0.3996)  4 Pd 3.06, 1 Ni 3.11, 6 Pb 3.28-3.33
Ni (0.0000, 0.3991, 0.3991)  6 Pb 2.77
Pd (0.5000, 0.0662, 0.7346)  3 Pb 2.93-2.95, 2 Dy 3.04, 4 Y 3.06
Pd (0.5000, 0.7346, 0.0662)  3 Pb 2.93-2.95, 2 Dy 3.04, 4 Y 3.06
Pb (0.5000, 0.1422, 0.3999)  2 Ni 2.77, 2 Pd 2.93-2.95
Pb (0.5000, 0.3999, 0.1422)  2 Ni 2.77, 2 Pd 2.93-2.95
Pb (0.5000, 0.6570, 0.6570)  2 Ni 2.77, 2 Pd 2.93

Output
SG: Amm2
Total DFT energy (no corrections), eV per atom: -5.61

***

Number 1: total magnetization 0.05 μB/f.u.. Number 2: total magnetization 0.00 μB/f.u.. Number 3: total magnetization 0.00 μB/f.u..

~~~~~

[1]
## EuDy3 (PBE-GGA)

Data for a relaxed EuDy3 crystal.

Cell lengths 5.7351, 5.7351, 5.7351 Å; angles 60.00, 60.00, 60.00 degrees
With the nearest neighbours (Å) after each atom.
Fractional coordinates of all 4 atoms:
Eu 0.0000 0.0000 0.0000  8 Dy 3.51
Dy 0.2500 0.2500 0.2500  4 Dy 3.51, 4 Eu 3.51
Dy 0.5000 0.5000 0.5000  8 Dy 3.51
Dy 0.7500 0.7500 0.7500  4 Eu 3.51, 4 Dy 3.51

Output
For the formation energy, the calculation gives 0.7 eV per formula unit. The volume is 33.346 A^3/atom. The density of states at the Fermi level comes out at 1.908 states/eV/atom. The symmetry is Fm-3m, No. 225. The value obtained for the energy relative to the lowest polymorph listed for this composition is 0.389 eV/f.u.

---

[2]
## Eu2Dy (PBE-GGA)

Data for a relaxed Eu2Dy crystal.

Cell lengths 8.5053, 8.5053, 8.5053 Å; angles 154.71, 154.71, 36.07 degrees
With the nearest neighbours (Å) after each atom.
Fractional coordinates of all 3 atoms:
Eu 0.1614 0.1614 0.0000  4 Dy 3.71, 8 Eu 3.72-3.89
Eu 0.8386 0.8386 0.0000  4 Dy 3.71, 8 Eu 3.72-3.89
Dy 0.5000 0.5000 0.0000  8 Eu 3.71, 4 Dy 3.72

Output
For the formation energy, the calculation gives 0.3 eV per formula unit. The volume is 37.388 A^3/atom. The density of states at the Fermi level comes out at 1.285 states/eV/atom. The symmetry is I4/mmm, No. 139. The value obtained for the energy relative to the lowest polymorph listed for this composition is 0.000 eV/f.u.

---

[3]
## EuDy3 (PBE-GGA)

Data for a relaxed EuDy3 crystal.

Cell lengths 6.8379, 6.8379, 6.8379 Å; angles 149.14, 64.54, 124.85 degrees
With the nearest neighbours (Å) after each atom.
Fractional coordinates of all 4 atoms:
Eu 0.0000 0.0000 0.0000  10 Dy 3.53-3.67, 2 Eu 3.64